Monday, 25 May 2015

Visit to Pilbara by Monash Health’s Associate Professor Diana Egerton-Warburton as a member of the Australian National Advisory Council on Alcohol and other Drugs (ANACAD)

Kay Hulls, Diana Egerton-Warburton, Ted Wilkes and
members of the Irrungadji community
Gaining a better understanding of the impact of alcohol and drugs on indigenous people was the focus of the Australian National Advisory Council on Alcohol and other Drugs (ANDCAD) recent visit to the Pilbara.

As a member of ANDCAD, Monash Health emergency physician and Monash University’s Associate Professor Diana Egerton-Warburton was invited to the Pilbara by Associate Professor Ted Wilkes the Principle Advisor on Indigenous drug and alcohol matters.

“After arriving in Karratha amongst the surreal flood of fly-in-fly-out (FIFO) workers in high vis, we travelled to Roebourne to participate in a community meeting where we had the opportunity to talk with people from all aspects of the community to find out the issues most important to them and their biggest challenges,” said Professor Egerton-Warburton.

Roebourne has a long history of harm due to predominantly alcohol harm, but more recently Gunga (cannabis) and Narbee (crystal methamphetamines) have become problematic.  

Sleep apps: a toy or a useful tool for assessing sleep problems in children?

Dr Sarah Biggs
Smartphone applications are not the best tool to assess sleep problems, according to latest research led by Monash University.

With up to 40 per cent of children experiencing a range of sleep problems, parents are turning to specialised devices and smartphone apps, although it is unknown if the information from such devices accurately reflects their children’s sleep. 

“Sleep problems can lead to poor daytime behaviour and learning difficulties,” said lead researcher and NHMRC Peter Doherty Postdoctoral Fellow Dr Sarah Biggs from the Ritchie Centre.

“Gaining access to a clinical paediatric sleep assessment can be difficult due to limited availability in the public health system and recently there has been a surge in the public popularity of commercial sleep assessment devices which claim to provide users with a better understanding of their sleep.”

Doctors are also taking an interest in these devices as they may provide a useful tool to screen for sleep disorders.

New Grants For Nutrition and Dietetics

Professor Helen Truby
Helen Truby in collaboration Murat Yucel and Antonio Verdejo-Garcia has been awarded a Faculty Platform Access Grant, $13,200 for a project titled Validation of a measure of visceral fat in health adults. The funding will be used to access the Biomedical Imaging Platform. 

And the Department of Health has awarded a team from the Department of Nutrition and Dietetics $127,000 for analysis of the Victorian Health Monitor and expansion of the Victorian Healthy Food Basket Survey. 

Congratulations to all!

Congratulations Nutrition and Dietetic students

 The recent Faculty awards evening saw 6 of the top graduates from Nutrition courses win prizes for their academic endeavors.

Congratulations go to Anthony Khoo (the Karen Walker Prize for Nutrition Science); Christina Zorbasa (The Margaret Miall Prize), Beth Van Lier and Stephanie Morris were awarded jointly the 4th year prize for achievements in the Bachelor in Nutrition and Dietetics and Vanessa Hilgrove won the Dietitians of Association of Australia Prize.

_Calculated crystals, as found in the file_
=====
# 1
## LiNiPO4 (PBE+U)

Data for a relaxed structure of LiNiPO4. Values from VASP.

```
&SYSTEM
  ibrav = 0, nat = 28, ntyp = 4
/
ATOMIC_SPECIES
Li 6.94 Li.upf
Ni 58.69 Ni.upf
P 30.97 P.upf
O 16.00 O.upf
CELL_PARAMETERS angstrom
5.156 0.000 0.000
-0.032 7.778 0.000
-0.004 -1.702 8.489
ATOMIC_POSITIONS angstrom
Li 0.000 0.000 0.000
Li 0.433 3.280 1.963
Li 2.547 -1.281 6.979
Li 2.998 3.218 5.036
Ni 0.198 3.498 6.997
Ni 0.490 0.760 4.277
Ni 2.787 1.282 8.488
Ni 3.056 5.729 2.721
P 0.011 0.799 7.387
P 0.438 5.173 4.251
P 2.586 3.981 8.103
P 3.029 1.318 2.752
O 0.299 6.639 4.724
O 1.353 0.091 7.596
O 1.442 4.994 7.835
O 1.957 4.792 4.117
O 2.324 1.529 4.132
O 2.328 2.266 1.753
O 2.403 2.847 7.025
O 2.458 4.948 0.975
O 2.888 -0.151 2.290
O 3.932 4.684 7.908
O 4.023 -0.216 7.645
O 4.547 1.700 2.884
O 4.892 4.220 5.247
O 4.892 4.964 2.871
O 4.977 1.933 8.463
O 5.048 1.533 6.025
```

E = -0.457 Ry/atom
magnetic moment = 0.00 μB/f.u.

# 2
## Li2NiP3O10 (PBE+U)

Data for a relaxed structure of Li2NiP3O10. Values from VASP.

```
&SYSTEM
  ibrav = 0, nat = 32, ntyp = 4
/
ATOMIC_SPECIES
Li 6.94 Li.upf
Ni 58.69 Ni.upf
P 30.97 P.upf
O 16.00 O.upf
CELL_PARAMETERS angstrom
4.691 0.000 0.000
0.000 8.553 0.000
-1.309 0.000 9.148
ATOMIC_POSITIONS angstrom
Li -0.355 0.651 3.160
Li -0.355 3.625 3.160
Li 3.737 4.928 5.989
Li 3.737 7.901 5.989
Ni 0.000 0.000 0.000
Ni 0.000 4.276 0.000
P 0.422 2.138 7.594
P 1.344 6.415 4.204
P 1.995 2.138 1.291
P 1.387 6.415 7.857
P 2.038 2.138 4.944
P 2.960 6.415 1.554
O -0.379 0.848 7.573
O -0.379 3.429 7.573
O 0.462 5.168 4.309
O 0.462 7.661 4.309
O 0.189 6.415 6.962
O 1.129 0.865 1.339
O 1.129 3.411 1.339
O 0.820 2.138 4.049
O 2.007 6.415 0.242
O 1.873 6.415 2.662
O 1.509 2.138 6.487
O 1.375 2.138 8.906
O 2.562 6.415 5.099
O 2.253 5.142 7.809
O 2.253 7.688 7.809
O 3.193 2.138 2.186
O 2.920 0.892 4.839
O 2.920 3.384 4.839
O 3.761 5.124 1.576
O 3.761 7.705 1.576
```

E = -0.477 Ry/atom
magnetic moment = 2.62 μB/f.u.

# 3
## LiNi2P3O12 (PBE+U)

Data for a relaxed structure of LiNi2P3O12. Values from VASP.

```
&SYSTEM
  ibrav = 0, nat = 36, ntyp = 4
/
ATOMIC_SPECIES
Li 6.94 Li.upf
Ni 58.69 Ni.upf
P 30.97 P.upf
O 16.00 O.upf
CELL_PARAMETERS angstrom
4.052 -2.637 0.000
4.052 2.637 0.000
-0.187 0.000 19.298
ATOMIC_POSITIONS angstrom
Li 8.071 0.000 3.211
Li -0.153 0.000 16.087
Ni 0.000 0.000 0.000
Ni -0.093 0.000 9.649
Ni -0.111 0.000 12.858
Ni 8.029 0.000 6.440
P 2.762 0.000 11.258
P 2.834 0.000 4.864
P 2.718 0.000 17.729
P 5.199 0.000 1.569
P 5.084 0.000 14.434
P 5.156 0.000 8.040
O 3.650 1.272 11.254
O 3.717 1.258 4.903
O 3.606 1.257 17.758
O 1.923 0.000 6.131
O 1.903 0.000 9.967
O 1.818 0.000 19.005
O 1.907 0.000 12.551
O 2.044 0.000 3.535
O 1.915 0.000 16.408
O 4.267 1.272 8.044
O 4.312 1.257 1.540
O 4.201 1.258 14.395
O 3.717 -1.258 4.903
O 3.606 -1.257 17.758
O 3.650 -1.272 11.254
O 6.002 0.000 2.890
O 5.874 0.000 15.763
O 6.010 0.000 6.747
O 6.100 0.000 0.294
O 6.015 0.000 9.331
O 5.995 0.000 13.167
O 4.312 -1.257 1.540
=====
_Back to the page_

Pictured is Margaret Murray being presented with the Andrea Logan Trust Prize for her top Honours thesis by Trustee Yvonne Wilson. 

Further to our great news last week, celebrating the success of our MBBS students at the recent Faculty Awards Ceremony, we'd like to also congratulate former SCS students Olivia Nicholson and Felix Anderson.  Apologies for the oversight last week.

Scholarship opportunity - sleep research

The Australasian Sleep Association is offering one day scholarships for students to attend its annual scientific meeting held 22-24 October at the Melbourne Convention Centre.

To apply, simply complete the application form posted on the Australasian Sleep Association website and send it to:

More information here.

Nominations for ECR Publication Prize OPEN now

Nominations for the Faculty ECR Publication Prizes open on Monday 18th May so NOW is a great time to take a look at your 2014 publications and decide which one to nominate.  

New this year is that epubs published online in 2014 will be eligible for the 2015 Publication Prize and there will also be additional non-monetary prizes available for ECR's holding an externally funded Fellowship.

Please see the attached poster and promotion material for information and Frequently Asked Questions, check the Guidelines and Eligibility and complete the attached nomination form (word doc version here) to nominate your publication.

Note that if you choose to nominate an epub from 2015 which is "published" with a volume and page numbers in 2015 you will NOT be able to nominate the same publication in 2016 for the prize.

Information will also be available on the Faculty ECR Gateway webpage here

Nominations close at 5pm on Monday 15th June, 2015.

PhD Scholarship Opportunity

Identifying pathways for new treatment strategies for children with primary snoring
The Opportunity:
The Infant and Child Health Theme within the Ritchie Centre is offering a full-time PhD scholarship, tenable from July 2015.
This scholarship is being offered as part of a Sleep Research Society Foundation (USA) Early Career Development Research Award investigating learning potential in children with sleep disordered breathing (SDB) and further exploring the mechanisms involved in nocturnal respiratory disturbance and daytime functioning in children. The research will include:
·         monitoring of regular sleep/wake patterns via actigraphy,
·         conducting ambulatory overnight sleep studies in the child’s home,
·         administration of validated psychometric testing including the Weschler Abbreviated Scale of Intelligence and the Wide Range Assessment of Memory and Learning
·         assessment of validated parent-reported behavioural questionnaires such as the Child Behavior

Department and Faculty:     Department of Paediatrics, Faculty of Medicine, Nursing and Health Sciences, Monash University
Location:                                The Ritchie Centre, Monash Medical Centre, Clayton, Victoria
Supervisors:                          Dr Sarah Biggs, Professor Rosemary Horne
Remuneration:                      AUD $26,000 per annum for living expenses, tax exempt for up to three and a half years

ARC Rejoinder Information Session

Monash Research Office (MRO) invites​ r​esearchers to attend an information session on writing ​a rejoinder, to be presented by Professor Marcello Rosa, current member of the Biological Sciences and Biotechnology (BSB) panel of the ARC College of Experts.
Date: Tuesday 9 June, 2015
Time: 3.00-4.00pm
Location: Central One (C1) Lecture Theatre, 25 Exhibition Walk, Clayton campus
Please register here to attend.
If you are unable to attend, the session will be recorded for later viewing.

Grand Round - Endocrinology-27/05/15 "Calcium in Crisis"

Presented by Dr Fran Milat, Endocrinology Unit.

Date: Wednesday 27th May 2015
Time: 12.30pm to 1.30pm

Venue: Main Lecture Theatre, Monash Medical Centre, Clayton

Flyer attached here.

Invitation to the Launch of Women in Medicine - 3 June 2015, 4-5.30pm, Lecture Theatre 1, MMC Clayton

You are invited to the Launch of Women in Medicine - an initiative to inspire, encourage and support Monash women in medicine reach their full potential.

This Initiative is a continuation of Monash Health’s cultural journey to build a supportive and inclusive work environment which provides equal opportunity for all. This includes a training and support program and focuses on career planning, leadership, coaching and mentoring opportunities for women in medicine as well as strategies to change culture and to increase leadership opportunities.

The Initiative will be formally launched by the Hon. Jill Hennessey, Minister for Health on 3 June 2015, from 4-5.30pm in Lecture Theatre 1 at MMC Clayton and will be video-conferenced to Casey, Moorabbin and Dandenong. Details are in the attached flyer.

Hudson seminar "“AML and Tales of the Unexpected: how to make a good anti-cancer drug, birinapant, better”

Presented by A/Prof John Silke, Joint Division Head, Cell Signalling and Cell Death,  Walter and Eliza Hall Institute

Wednesday 27 May, 4-5pm, Lecture Theatre 1

More information here.

Hudson Seminars 2015 - winter program

Hudson Institute of Medical Research 2015 Seminars

Wwinter program here.

Hudson Ball - please join us on 31 July

Please join SCS colleagues and friends at the Hudson ball on 31 July.

We are organising a couple of SCS tables at the ball - please contact Jin so we can finalise numbers.

Veski Invitation: Inspiring Women Event - 1 June 2015 (Mentoring – Cultivating a Network of Mentors & Maximising the Relationships)

The third event in the veski Inspiring Women Professional Development and Networking Series is being held in June.  The event is titled Mentoring – Cultivating a Network of Mentors & Maximising the Relationships and the audience will hear from mentoring-program specialists and industry-based peers sharing insights about preparing for, initiating and getting the​ ​
most out of mentoring relationships.

Monday 1 June 2015, 12.00pm - 2.00pm

The Shell Conference Centre, 1 Spring St, Melbourne (enter via Flinders Lane)

For further information and to register please see here.

Notification Animal Ethics Information Sessions – Tues 21 July & Thurs 29 Oct 2015

Monash University Animal Ethics Information Session - “Animal Use in Research & Teaching”

Monash University requires that:
•    All new research staff and students using live animals complete the
information session “Animal Use in Research and Teaching”.
•    Investigators must have successfully completed the relevant
training to be named on an animal ethics application.

Date: Tuesday 21 July 2015
Time: 10am – 12:30pm
Venue: Lecture Theatre S3, 16 Rainforest Walk (Building 25), Clayton Campus

Date: Thursday 29 October 2015
Time: 10am – 12:30pm
Venue: Lecture Theatre S2, 16 Rainforest Walk (Building 25), Clayton Campus

Register online here.  This month's Monash animal research ethics update is available here.

Cell-Based Therapies Used to Treat Lumbar Degenerative Disc Disease: A Systematic Review of Animal Studies and Human Clinical Trials

David Oehme
David Oehme, Tony Goldschlager, Jeffrey V. Rosenfeld, Graham Jenkin published in Stem Cells International.

Read article here.

Prevention of Ovarian Hyperstimulation Syndrome: A Review

Beverley Vollenhoven published in Obstetrics and Gynecology International.

Read article here.